Teen Titans Fan Fiction ❯ Musical: What Changes Really Are ❯ Total Control ( Chapter 15 )
[ T - Teen: Not suitable for readers under 13 ]
The next morning, the sun rose in the sky like it always did, and the Titans had been taking turns all night watching over Terra who had spent the night with them for her safety. Now that the others knew the secret, Beast-Boy, or Trigon would be certain to make Terra suffer.
Still… there hadn't been any signs of Beast-Boy all night long. He wasn't in his room, or anywhere around the tower, yet the doors were all locked, and they were still locked with no indication of ever being unlocked.
Raven couldn't sense him anywhere with her psychic-contact, but she anticipated that for knowing that Trigon was in control and possibly blocking her out.
Terra was growing pretty nervous. All night long she had nightmares about Beast-Boy growing stronger and more powerful than ever, and hurting many innocent people, and yet deep down, “I still keep thinking that this is all my fault…” she said.
The others couldn't really blame her that way. “Still… the sooner we find him, the sooner we can try and help him.” Robin said. “But where do we start looking is the problem.”
Suddenly, everyone heard Starfire calling to them to rush over to Beast-Boy's room. They all rushed in, “Yo'… what's wrong…?” Cyborg asked, but then he and the others saw what…
Beast-Boy's wardrobe was wide open, but instead of clothes, or a big mess; it was all colorful, and sparking. Cyborg checked it with his wrist-computer, “I can't it all out, but it's some kind of vortex, but I can't get a lock on where it goes to.”
The others we're barely able to believe that there even was a vortex in Beast-Boy's room, but where it leads to? They all had a sneaky idea that wherever it was it couldn't be good.
Copy-Cat picked up a piece of paper on the floor, crumpled it into a ball and tossed into the vortex. The paper-ball vanished instantly. “It appears to be safe enough…” he said, “But should we dare to cross into it?”
Now you could probably assume that everyone was just going to sit there all arguing over the pros and cons of entering the vortex, but Robin… he just dashed right in. “Robin…!” cried Starfire.
POOF… he vanished. “Wait for me!” Starfire called, and then jumped in after him. Then Cyborg jumped in, and so did Copy-Cat. “Wait… you guys can't!” called Terra, but suddenly she felt Raven grab onto her, “Oh come on already…” and then they jumped it.
The all reappeared in a rocky valley, miles and miles away from the city. “Swell… but now how do we get back?” Raven asked… Everyone looked back and realized that the vortex had vanished, and not one of them knew how to make it reappear.
That's when Terra looked on the ground, “Look… footprints.” she said. Everyone looked down at the prints in the dirt. Cyborg recognized the shoe-pattern. “Yo' there're BB's all right…” he said.
“Great… let's follow them.” Robin suggested.
They all began to walk off following the prints, but Terra hesitated for a moment, until Copy-Cat had convinced her to come along. After all, they were many miles away from the city with no instant return, and she had no powers. “If you wish to save Beast-Boy… I suggest you come along.”
Terra knew he was right, and tagged along.
The footprints lead them to a nearby cave with a long stairway leading inside. Down, down they went it was getting pretty dark, almost too dark to see. So Starfire held up two Starbolts for light, and Cyborg flipped up his shoulder flashlight to help them all see better, and kept on going.
The deeper they went, the more they began to think that he would be near the bowels of the earth. That's when it started to actually get brighter as they neared the bottom. “Are you certain that we should do this?” Starfire asked Robin.
Robin didn't know, “But I didn't come all this way just to turn back now.”
They all walked through a narrow stone doorway into a hidden chamber so mysterious. There were so many symbols and markings on the walls, all glowing with a mystical yet mysterious glow. There were also all kinds of weapons, and statues… like the ones in Raven's room.
“I don't believe this…” Raven peeped.
The others found it amazing that Trigon had been alive for all this time and in hiding. Terra however was the only one who still didn't understand due to the fact that she was still a stone-statue during that time.
Suddenly, they heard the sound of something scrapping across the floor at other end of the room. He turned and looked round, “Yo', they door!” cried Cyborg.
It was closing…SNAP! The didn't reach it in time. “We're trapped!” cried Terra. Then… things got way worse as everyone heard someone say, “What is that you want here…?”
Everyone turned to face the other end of the room; at the tops of a small set of stairs a big puff of smoke and waves of dark-magic burst out from nowhere. When the smoke had cleared, “Beast-Boy…!” Terra cried.
It was him all right, and he sure was dressed weird; He still had on his ordinary shoes, and gloves, but his suit was red, with a white tummy and black smears like Trigon's skin. A large metal chest plate covered his upper body, and two dark shoulder-pads with horns supported his long cape; black on the outside, dark blue on the inside, and on his face he wore a mask that resembled Trigon's face.
To top it all off… the mark of Scathe was seen in different areas all over his suit, and there was even one marking on his forehead.
“Yo man… what is with that get up?” Cyborg asked in disgust.
“Oh, friend… I am so glad we have found you.” cried Starfire.
Beast-Boy shook his head, “You are all mistaken.” he said deeply, “I am not Garfield Logan.”
Terra raised an eyebrow, “Garfield…?”
“It is a long story.” Copy-Cat whispered.
Robin then tried to approach Beast-Boy. “Easy Beast-Boy… we just want to help you.” He said, but Beast-Boy pulled up a sword that was next to him and poised it right at him. “Stay where you are!”
Cyborg began to step forward, “Hey come on man, is that anyway to treat your buddies.”
“I warn you… do not take another step!”
Robin urged the Titans to huddle together. “Trigon's control must be stronger than ever now.”
Suddenly, they all saw Beast-Boy grab his head and groan in pain. “AAH… Eh!” he was obviously still in there trying to fight the control. “We have to disarm him…” whispered Robin, “Be very careful…”
Starfire approached Beast-Boy, “Friend… you remember Cyborg and Robin.” She said to him, “We are all friends… we care for you.”
Beast-Boy looked up, “Frie-- Friends…?” he asked weakly. Then he raised his hand and held Starfire's. “Starfire…?”
The alien girl nodded while smiling at him.
Beast-Boy came down and looked over all the Titans. “Cyborg…?”
“Yo' man. Hey, give me five…” Their hands gently touched together instead of slapping.
“Raven…? Copy-Cat…?”
Robin saw this as his chance, “Robin, don't!” cried Terra, but Robin had already snatched the sword from his hand, and stood beside Terra. When Beast-Boy saw her, “GRR… AAH…!”
Being reminded of “Things Change…” and how he was so incredibly miserable in life, he lost himself to the darkness again. “There is no Garfield Logan. Only his body!” he growled, “My name is Trigon!”
He angrily marched away from the others and picked up another sword. “Beast-Boy… please.” cried Terra. She moved towards him and put her arms on his shoulders, “Please… I'm sorry this is happening to you, please let us help you.”
_Between two parts of the text: crystal structures_
=====
Entry 1:
The following is a DFT calculation (meta-GGA r2SCAN) of crystalline SiO2 at its relaxed geometry.

Total energy = -9.9348 eV/atom
DFT formation energy = -3029 meV/atom

a = 7.0818 Å, b = 7.0818 Å, c = 7.0818 Å
α = 90.00°, β = 90.00°, γ = 90.00°
Atoms (fractional coordinates):
Si: 0.9780 0.5220 0.4780
Si: 0.0220 0.0220 0.0220
Si: 0.2168 0.7168 0.7832
Si: 0.5220 0.4780 0.9780
Si: 0.2832 0.2832 0.2832
Si: 0.7168 0.7832 0.2168
Si: 0.7832 0.2168 0.7168
Si: 0.4780 0.9780 0.5220
O: 0.8608 0.3365 0.5394
O: 0.1524 0.1524 0.1524
O: 0.3476 0.8476 0.6524
O: 0.3608 0.1635 0.4606
O: 0.5394 0.8608 0.3365
O: 0.8365 0.9606 0.1392
O: 0.0394 0.6392 0.6635
O: 0.6524 0.3476 0.8476
O: 0.6635 0.0394 0.6392
O: 0.1635 0.4606 0.3608
O: 0.8476 0.6524 0.3476
O: 0.3365 0.5394 0.8608
O: 0.1392 0.8365 0.9606
O: 0.4606 0.3608 0.1635
O: 0.9606 0.1392 0.8365
O: 0.6392 0.6635 0.0394

Entry 2:
The following is a DFT calculation (meta-GGA r2SCAN) of crystalline SiH at its relaxed geometry.

Total energy = -6.0783 eV/atom
DFT formation energy = 36 meV/atom

a = 3.8653 Å, b = 3.8653 Å, c = 5.7322 Å
α = 90.00°, β = 90.00°, γ = 120.00°
Atoms (fractional coordinates):
H: 0.6667 0.3333 0.6771
H: 0.3333 0.6667 0.3229
Si: 0.3333 0.6667 0.0628
Si: 0.6667 0.3333 0.9372

Repeat the second record exactly.
The following is a DFT calculation (meta-GGA r2SCAN) of crystalline SiH at its relaxed geometry.

Total energy = -6.0783 eV/atom
DFT formation energy = 36 meV/atom

a = 3.8653 Å, b = 3.8653 Å, c = 5.7322 Å
α = 90.00°, β = 90.00°, γ = 120.00°
Atoms (fractional coordinates):
H: 0.6667 0.3333 0.6771
H: 0.3333 0.6667 0.3229
Si: 0.3333 0.6667 0.0628
Si: 0.6667 0.3333 0.9372

Please write out number 2 again, unchanged.
The following is a DFT calculation (meta-GGA r2SCAN) of crystalline SiH at its relaxed geometry.

Total energy = -6.0783 eV/atom
DFT formation energy = 36 meV/atom

a = 3.8653 Å, b = 3.8653 Å, c = 5.7322 Å
α = 90.00°, β = 90.00°, γ = 120.00°
Atoms (fractional coordinates):
H: 0.6667 0.3333 0.6771
H: 0.3333 0.6667 0.3229
Si: 0.3333 0.6667 0.0628
Si: 0.6667 0.3333 0.9372

What is the formula in the second record?
SiH

Repeat the second record exactly.
The following is a DFT calculation (meta-GGA r2SCAN) of crystalline SiH at its relaxed geometry.

Total energy = -6.0783 eV/atom
DFT formation energy = 36 meV/atom

a = 3.8653 Å, b = 3.8653 Å, c = 5.7322 Å
α = 90.00°, β = 90.00°, γ = 120.00°
Atoms (fractional coordinates):
H: 0.6667 0.3333 0.6771
H: 0.3333 0.6667 0.3229
Si: 0.3333 0.6667 0.0628
Si: 0.6667 0.3333 0.9372

* * * * *

# 1
## Tm2AlZn (PBE-GGA)

Data for a geometry-optimized Tm2AlZn structure.

```
4
Lattice="2.5860 -3.8207 -1.9634 -2.3649 -4.2304 -1.2849 -0.5651 -1.1858 -4.8389" Properties=species:S:1:pos:R:3 pbc="T T T"
Tm -0.2579 -6.9277 -6.0654
Al 0.0000 0.0000 0.0000
Zn -0.1720 -4.6184 -4.0436
Tm -0.0860 -2.3092 -2.0218
```

Properties
Calculated volume in A^3/atom: 22.28
Calculated formation energy in eV/atom: -0.379
E in eV/atom: -3.868


# 2
## UAl4 (PBE-GGA)
=====
He just looked at her dead in the eyes, “Get away from me, School-girl!”
Terra backed away in fear.
“What are you going to do with us?” Cyborg asked.
“What else…?” Beast-Boy said, “I am going to conquer this world, and then the many worlds and dimensions beyond it until I rule all, and my first step is to see you meddling mortals out of the way.”
“You won't succeed.” Raven snapped at him. “We beat you once before, and we can beat you again!”
Beast-Boy sniggered, “How sweet… daddy's little girl thinks she's all grown up.” he mocked. “I have taken over your friends body, and my power continues to grow! Already I've ordered my army of Zombies to make waste to the city… and with no heroes to hold them back; I will be in control by sundown.”
Already the Zombies were in town and wrecking the place. Breaking up the buildings, and hurting the citizens… even kill those who stood in their way.
The police and the armies used everything that they had, but these zombies just wouldn't stay down. “Man… where are the Teen Titans when you need them.”
“You monster…!” growled Copy-Cat. “Release our friend at once!”
“Silence, Psyconian…!” growled Beast-Boy. “I don't take orders, I give them, and as of which… I have this order to make to you all. When I rule the world… you all have choices… you either serve me, or you shall suffer and experience the most painful death!”
The others all exchanged looks of disgust. “Yo' man… are you crazy!”
“We will never serve the likes of you!” added Starfire
Beast-Boy's eyes narrowed. “You have no choice in the matter. You either serve me or die!”
Robin gently tiptoed up from behind ready to try and grab for the others sword, but Beast-Boy fully away of him being there, quickly whirled round to stop him. “Heh, heh… foolish mortal! I have destroyed armies… and you dare to pit your PUNY STRENGTH AGAINST ME?”
As he finished shouting, his sword began to glow angrily with red-flames scarring the girls to run back to the others as Robin and Beast-Boy clashed their blades in battle.
“Robin!” Starfire cried as she tried to rush over to help. “No! Don't go out there!” cried Cyborg as he held her back. “It's too dangerous!”
All they could do was sit back on the sidelines as the two boys angrily swung their weapons at each other, but Robin was actually just trying to keep up his defenses. HE couldn't just hurt him, it was Beast-Boy after all, but he didn't know how to reach out to him.
Worst of all… Beast-boy blade had far more power than anything Robin had. Even if he missed and hit the walls of the cave, the glowing sword caused a dirt-explosion with enough force to knock Robin off his feet… but the brave warrior refused to give in.
CLANG! They were engaged in a blade-lock, “Beast-Boy!” Robin grunted, “Trigon's controlling you… fight him off!”
Beast-Boy's eyes glowed red, “SILENCE…!” he roared as he fired to energy-shots from his eyes knocking Robin away again. “I told you… that I am in control now. You will never… ever see your friend…AGAIN!” he raised his glowing sword up high and sent a shockwave of energy right at Robin…
KAPOW! All that smoke, and that huge flash knocked him unconscious. “NO!” Starfire cried.
“Ha, ha, ah, ah, ah… How Pathetic…!” Beast-Boy chuckled, “Such a waste of effort and time.” He the down his sword and began to walk towards the exit, but he stopped for a moment to gaze at Terra, who was looking back at him with fear and anguish in her eyes.
“You wanted a change?” he said to her, “Well… got one, and soon you will have plenty more as I conquer the world.”
He flicked his cape and then marched straight through the door, vanishing right though it, and out of the cave leaving them all trapped behind.
Terra pressed her back against the wall, slid to the ground, and a small tear leaked out from her eye. “Beast-Boy…” she sobbed ever so softly, “I'm so sorry.”